Listing
____________
UNi5Ge3: calculated powder diffraction line list (λ = 1.5418 Å (Cu Kα)), based on a DFT-relaxed cell (PBE, the Materials Project).

Structure:
Cell lengths 19.0183, 3.8935, 6.7726 Å; angles 90.00, 90.00, 90.00 degrees
Space group Pnma (No. 62)
Inequivalent atoms, fractional coordinates:
U1 0.1455 0.2500 0.1218
Ni1 0.0038 0.7500 0.1310
Ni2 0.0149 0.2500 0.3795
Ni3 0.1090 0.2500 0.6444
Ni4 0.2008 0.7500 0.8069
Ni5 0.2112 0.7500 0.4109
Ge1 0.0762 0.7500 0.8536
Ge2 0.0874 0.7500 0.4071
Ge3 0.2320 0.2500 0.6054

Top 8 peaks for 10 to 90 degrees two-theta, in order of falling intensity:
2theta  d_spacing  Rel. int.  (hkl)
37.97  2.370  1000  3 1 2
35.47  2.531  524  5 0 2
35.58  2.523  437  7 0 1
46.66  1.947  408  0 2 0
59.99  1.542  209  5 2 2
36.56  2.458  206  6 1 0
50.93  1.793  192  9 0 2
44.66  2.029  174  8 1 0

* * * * *

Theoretical powder X-ray diffraction pattern
Compound: ZnBiPd3
Radiation: Cu Kα (weighted mean of Kα1 and Kα2)
Structure: a DFT-relaxed cell (GGA-PBE, Alexandria)
No peak broadening, texture or thermal motion is included.

Crystal structure
abc: 6.5831 6.5831 4.9035
angles: 90.00 90.00 120.00
Fractional positions:
Zn (0.0000, 0.0000, 0.0000)
Zn (0.0000, 0.0000, 0.5000)
Bi (0.3333, 0.6667, 0.2500)
Bi (0.6667, 0.3333, 0.7500)
Pd (0.1924, 0.3848, 0.7500)
Pd (0.1924, 0.8076, 0.7500)
Pd (0.3848, 0.1924, 0.2500)
Pd (0.6152, 0.8076, 0.7500)
Pd (0.8076, 0.1924, 0.2500)
Pd (0.8076, 0.6152, 0.2500)

Main lines, most intense first (2θ from 10° to 80°):
36.46°, intensity 100
49.01°, intensity 24
27.09°, intensity 22
55.86°, intensity 20
36.65°, intensity 19
65.87°, intensity 18

=====

Theoretical powder X-ray diffraction pattern
Compound: Zr2BiPd4
Radiation: Cu Kα (weighted mean of Kα1 and Kα2)
Structure: a DFT-relaxed cell (GGA-PBE, Alexandria)
No peak broadening, texture or thermal motion is included.

Crystal structure
abc: 7.6303 7.6303 7.6303
angles: 141.23 141.23 55.99
Fractional positions:
Zr (0.1121, 0.1121, 0.0000)
Zr (0.8879, 0.8879, 0.0000)
Bi (0.5000, 0.5000, 0.0000)
Pd (0.0000, 0.5000, 0.5000)
Pd (0.2969, 0.2969, 0.0000)
Pd (0.5000, 0.0000, 0.5000)
Pd (0.7031, 0.7031, 0.0000)

Main lines, most intense first (2θ from 10° to 80°):
35.44°, intensity 100
37.81°, intensity 87
52.79°, intensity 66
13.14°, intensity 58
24.86°, intensity 57
51.00°, intensity 35

=====

Theoretical powder X-ray diffraction pattern
Compound: Pm4Bi3
Radiation: Cu Kα (weighted mean of Kα1 and Kα2)
Structure: a DFT-relaxed cell (GGA-PBE, Alexandria)
No peak broadening, texture or thermal motion is included.

Crystal structure
abc: 12.9956 12.9956 12.9956
angles: 20.84 20.84 20.84
Fractional positions:
Pm (0.1216, 0.1216, 0.1216)
Pm (0.3653, 0.3653, 0.3653)
Pm (0.6347, 0.6347, 0.6347)
Pm (0.8784, 0.8784, 0.8784)
Bi (0.2609, 0.2609, 0.2609)
Bi (0.5000, 0.5000, 0.5000)
Bi (0.7391, 0.7391, 0.7391)

Main lines, most intense first (2θ from 10° to 80°):
28.84°, intensity 100
38.29°, intensity 56
37.81°, intensity 25
48.64°, intensity 24
24.79°, intensity 23
44.04°, intensity 22

=====

Theoretical powder X-ray diffraction pattern
Compound: Pm5Bi3
Radiation: Cu Kα (weighted mean of Kα1 and Kα2)
Structure: a DFT-relaxed cell (GGA-PBE, Alexandria)
No peak broadening, texture or thermal motion is included.

Crystal structure
abc: 9.4466 9.4466 6.5482
angles: 90.00 90.00 120.00
Fractional positions:
Pm (0.0000, 0.2462, 0.2500)
Pm (0.0000, 0.7538, 0.7500)
Pm (0.2462, 0.0000, 0.2500)
Pm (0.2462, 0.2462, 0.7500)
Pm (0.3333, 0.6667, 0.0000)
Pm (0.3333, 0.6667, 0.5000)
Pm (0.6667, 0.3333, 0.0000)
Pm (0.6667, 0.3333, 0.5000)
Pm (0.7538, 0.0000, 0.7500)
Pm (0.7538, 0.7538, 0.2500)
Bi (0.0000, 0.3878, 0.7500)
Bi (0.0000, 0.6122, 0.2500)
Bi (0.3878, 0.0000, 0.7500)
Bi (0.3878, 0.3878, 0.2500)
Bi (0.6122, 0.0000, 0.2500)
Bi (0.6122, 0.6122, 0.7500)

Main lines, most intense first (2θ from 10° to 80°):
32.01°, intensity 100
33.30°, intensity 77
32.84°, intensity 55
51.22°, intensity 31
27.24°, intensity 25
28.87°, intensity 22

=====
____________

What to do
Retype the contents above from the line with "peaks for" to the end unchanged.

Done
Top 8 peaks for 10 to 90 degrees two-theta, in order of falling intensity:
2theta  d_spacing  Rel. int.  (hkl)
37.97  2.370  1000  3 1 2
35.47  2.531  524  5 0 2
35.58  2.523  437  7 0 1
46.66  1.947  408  0 2 0
59.99  1.542  209  5 2 2
36.56  2.458  206  6 1 0
50.93  1.793  192  9 0 2
44.66  2.029  174  8 1 0

* * * * *

Theoretical powder X-ray diffraction pattern
Compound: ZnBiPd3
Radiation: Cu Kα (weighted mean of Kα1 and Kα2)
Structure: a DFT-relaxed cell (GGA-PBE, Alexandria)
No peak broadening, texture or thermal motion is included.

Crystal structure
abc: 6.5831 6.5831 4.9035
angles: 90.00 90.00 120.00
Fractional positions:
Zn (0.0000, 0.0000, 0.0000)
Zn (0.0000, 0.0000, 0.5000)
Bi (0.3333, 0.6667, 0.2500)
Bi (0.6667, 0.3333, 0.7500)
Pd (0.1924, 0.3848, 0.7500)
Pd (0.1924, 0.8076, 0.7500)
Pd (0.3848, 0.1924, 0.2500)
Pd (0.6152, 0.8076, 0.7500)
Pd (0.8076, 0.1924, 0.2500)
Pd (0.8076, 0.6152, 0.2500)

Main lines, most intense first (2θ from 10° to 80°):
36.46°, intensity 100
49.01°, intensity 24
27.09°, intensity 22
55.86°, intensity 20
36.65°, intensity 19
65.87°, intensity 18

=====

Theoretical powder X-ray diffraction pattern
Compound: Zr2BiPd4
Radiation: Cu Kα (weighted mean of Kα1 and Kα2)
Structure: a DFT-relaxed cell (GGA-PBE, Alexandria)
No peak broadening, texture or thermal motion is included.

Crystal structure
abc: 7.6303 7.6303 7.6303
angles: 141.23 141.23 55.99
Fractional positions:
Zr (0.1121, 0.1121, 0.0000)
Zr (0.8879, 0.8879, 0.0000)
Bi (0.5000, 0.5000, 0.0000)
Pd (0.0000, 0.5000, 0.5000)
Pd (0.2969, 0.2969, 0.0000)
Pd (0.5000, 0.0000, 0.5000)
Pd (0.7031, 0.7031, 0.0000)

Main lines, most intense first (2θ from 10° to 80°):
35.44°, intensity 100
37.81°, intensity 87
52.79°, intensity 66
13.14°, intensity 58
24.86°, intensity 57
51.00°, intensity 35

=====

Theoretical powder X-ray diffraction pattern
Compound: Pm4Bi3
Radiation: Cu Kα (weighted mean of Kα1 and Kα2)
Structure: a DFT-relaxed cell (GGA-PBE, Alexandria)
No peak broadening, texture or thermal motion is included.

Crystal structure
abc: 12.9956 12.9956 12.9956
angles: 20.84 20.84 20.84
Fractional positions:
Pm (0.1216, 0.1216, 0.1216)
Pm (0.3653, 0.3653, 0.3653)
Pm (0.6347, 0.6347, 0.6347)
Pm (0.8784, 0.8784, 0.8784)
Bi (0.2609, 0.2609, 0.2609)
Bi (0.5000, 0.5000, 0.5000)
Bi (0.7391, 0.7391, 0.7391)

Main lines, most intense first (2θ from 10° to 80°):
28.84°, intensity 100
38.29°, intensity 56
37.81°, intensity 25
48.64°, intensity 24
24.79°, intensity 23
44.04°, intensity 22

=====

Theoretical powder X-ray diffraction pattern
Compound: Pm5Bi3
Radiation: Cu Kα (weighted mean of Kα1 and Kα2)
Structure: a DFT-relaxed cell (GGA-PBE, Alexandria)
No peak broadening, texture or thermal motion is included.

Crystal structure
abc: 9.4466 9.4466 6.5482
angles: 90.00 90.00 120.00
Fractional positions:
Pm (0.0000, 0.2462, 0.2500)
Pm (0.0000, 0.7538, 0.7500)
Pm (0.2462, 0.0000, 0.2500)
Pm (0.2462, 0.2462, 0.7500)
Pm (0.3333, 0.6667, 0.0000)
Pm (0.3333, 0.6667, 0.5000)
Pm (0.6667, 0.3333, 0.0000)
Pm (0.6667, 0.3333, 0.5000)
Pm (0.7538, 0.0000, 0.7500)
Pm (0.7538, 0.7538, 0.2500)
Bi (0.0000, 0.3878, 0.7500)
Bi (0.0000, 0.6122, 0.2500)
Bi (0.3878, 0.0000, 0.7500)
Bi (0.3878, 0.3878, 0.2500)
Bi (0.6122, 0.0000, 0.2500)
Bi (0.6122, 0.6122, 0.7500)

Main lines, most intense first (2θ from 10° to 80°):
32.01°, intensity 100
33.30°, intensity 77
32.84°, intensity 55
51.22°, intensity 31
27.24°, intensity 25
28.87°, intensity 22

=====